**Data**
'''
The following is a quantum chemistry calculation of C17H31MnN6O as an isolated structure, from the OMol25 dataset.

```
! wB97M-V def2-TZVPD RIJCOSX def2/J DEFGRID3
* xyz 2 5
Mn -0.28 0.00 0.32
C 3.16 1.49 0.32
C 2.04 2.54 0.27
N 0.77 2.01 -0.28
C -0.21 3.10 -0.44
C -1.57 2.50 -0.73
N -1.96 1.59 0.37
C -2.28 2.34 1.62
C -1.23 2.24 2.71
C -1.08 0.82 3.22
N -0.13 0.00 2.41
C 1.29 0.21 2.78
C 2.11 -0.79 1.99
N 1.80 -0.65 0.55
C 2.83 0.10 -0.22
H 3.55 1.41 1.33
H 4.00 1.84 -0.28
H 2.37 3.39 -0.33
H 1.83 2.93 1.26
H 0.96 1.65 -1.21
H 0.07 3.78 -1.25
H -0.23 3.69 0.47
H -1.54 1.92 -1.65
H -2.30 3.30 -0.85
H -2.81 1.14 0.08
H -3.22 1.94 2.01
H -2.47 3.38 1.38
H -1.54 2.87 3.54
H -0.27 2.62 2.37
H -2.05 0.31 3.19
H -0.74 0.80 4.26
H -0.33 -0.97 2.66
H 1.44 0.08 3.85
H 1.57 1.23 2.53
H 1.84 -1.80 2.30
H 3.17 -0.66 2.19
H 1.78 -1.58 0.14
H 2.49 0.14 -1.26
H 3.75 -0.48 -0.21
N -5.73 -2.03 -1.92
C -4.84 -2.28 -1.24
C -3.71 -2.54 -0.39
C -3.58 -3.70 0.36
C -2.46 -3.86 1.15
C -1.52 -2.85 1.18
N -1.64 -1.71 0.48
C -2.72 -1.57 -0.31
H -4.34 -4.47 0.31
H -2.30 -4.75 1.74
H -0.63 -2.95 1.80
H -2.78 -0.69 -0.93
C -0.07 -1.24 -2.38
O -0.32 -0.22 -1.42
H 0.15 -0.77 -3.33
H -0.93 -1.89 -2.50
H 0.79 -1.87 -2.10
*
```

Output
relative energy (zero: lowest compared OMol25 entry of this formula, charge and spin) = 0.0 kJ/mol
calculated total energy = -60427.1131 eV
HOMO-LUMO gap (spin up / spin down) = 8.05 / 9.78 eV

----------

Entry 1:
This record from OMol25 describes a structure of composition C3H5N3OS in a non-equilibrium geometry. The level of theory is ωB97M-V/def2-TZVPD.

```
13
Properties=species:S:1:pos:R:3:forces:R:3
C 1.605 1.581 -0.016 -3.77 -3.63 1.07
C 0.850 -1.618 -0.190 -2.35 -4.40 -0.41
C -1.945 0.259 -0.342 -2.68 6.41 5.30
H 1.073 2.598 0.174 1.67 -1.52 -0.58
H 2.610 1.276 -0.845 -3.42 1.17 2.96
H 1.209 -2.643 -0.446 0.34 0.92 -0.27
H -0.950 -0.045 1.588 -1.05 -0.46 -1.77
H -2.112 -0.386 -1.145 -0.25 -0.39 -2.01
N 0.747 0.534 0.562 9.49 4.57 -4.81
N 1.608 -0.675 -0.014 -0.73 3.04 1.84
N -1.341 -0.437 0.692 -1.84 1.16 0.09
O -2.438 1.414 -0.104 2.00 -3.91 -1.87
S -0.915 -1.856 0.085 2.60 -2.95 0.46
```
Positions in Å, forces in eV/Å.

Computed properties:
Frontier orbital gap in eV: 9.08
ΔE to the lowest compared entry with this formula, charge and spin in eV: 6.575
M in g mol⁻¹: 131.16
LUMO energy in eV: 0.00



Entry 2:
This record from OMol25 describes a cluster of 17 separate species, C27H24BCl64N3O4P in total in a non-equilibrium geometry. The level of theory is ωB97M-V/def2-TZVPD.

```
124
Properties=species:S:1:pos:R:3:forces:R:3
C 1.860 -1.281 -1.624 -0.38 0.23 0.27
C 0.755 -1.662 -2.618 0.50 0.14 -0.05
C 0.491 -0.520 -3.610 0.13 -0.20 0.02
C -0.916 -0.459 -4.154 -0.04 0.21 -0.19
O -1.916 -0.303 -3.103 -0.05 -0.12 -0.11
C -1.860 0.840 -2.433 0.04 -0.17 -0.12
N -1.946 2.071 -3.034 -0.01 0.05 -0.47
C -1.895 3.038 -2.105 0.12 0.05 -0.35
P -2.033 4.830 -2.458 0.17 0.86 0.63
O -1.612 5.705 -1.350 -0.10 -0.15 -0.01
N -1.761 2.428 -0.938 -0.51 -0.04 0.26
C -1.591 3.111 0.348 0.33 0.26 0.11
C -0.098 3.256 0.629 0.02 -0.13 -0.14
O 0.532 3.971 -0.419 0.21 -0.13 0.15
C -1.757 1.050 -1.097 0.27 0.45 0.88
B -1.685 -0.005 0.093 -0.30 -0.14 0.67
O -0.516 -0.086 0.792 0.36 -0.40 -1.05
N -2.843 -0.802 0.424 0.01 0.21 -1.30
C -2.811 -2.148 -0.222 0.25 -0.08 0.75
C -4.107 -0.110 0.121 -0.05 -0.47 0.07
H 1.443 -0.706 -0.792 0.04 0.04 -0.08
H 2.602 -0.634 -2.095 0.13 -0.23 -0.03
H 2.346 -2.156 -1.195 0.08 0.01 -0.09
H -0.163 -1.932 -2.092 0.04 -0.07 0.00
H 1.103 -2.537 -3.171 -0.31 -0.05 -0.04
H 1.158 -0.654 -4.468 -0.04 0.16 -0.01
H 0.770 0.445 -3.170 -0.14 -0.01 0.05
H -1.015 0.383 -4.848 -0.01 -0.08 -0.06
H -1.212 -1.359 -4.689 0.00 -0.04 0.16
H -2.055 2.216 -4.027 0.07 0.09 0.02
H -1.292 4.965 -3.639 -0.17 -0.28 -0.22
H -3.379 4.989 -2.812 -0.02 -0.25 -0.23
H -2.074 4.082 0.265 0.09 0.02 0.10
H -2.059 2.542 1.152 -0.10 -0.17 -0.21
H 0.037 3.722 1.605 -0.06 0.06 -0.05
H 0.364 2.266 0.663 -0.11 0.01 0.11
H 0.807 4.842 -0.114 -0.22 0.08 -0.08
'''
**Wanted**
The reader should say how many lines of the rows earlier on hold the word "def2-TZVPD", as a bare number.
**Completed**
3